Compassion of Individuals, Power of Community

**Records of molecules from another source follow**
<<<
Entry 1:
This record from the OMol25 dataset describes C29H42Cl3N3NaO2P2 as an isolated structure. The level of theory is ωB97M-V/def2-TZVPD.

The HOMO energy comes out at -3.67 eV. Its HOMO-LUMO gap is 5.78 eV. The energy above the lowest of the compared OMol25 structures with the same formula, charge and spin comes out at 9.77 kcal/mol.

Geometry as ORCA input:
```
! RIJCOSX wB97M-V def2-TZVPD def2/J DEFGRID3
* xyz -1 1
Na -0.340 -1.730 0.377
C 3.591 -0.703 -4.005
C 3.296 -0.078 -2.640
C 4.469 -0.360 -1.693
P 1.697 -0.441 -1.729
C 1.181 -2.166 -2.263
C 0.731 -2.378 -3.708
C 2.230 -3.192 -1.824
C 0.475 0.636 -2.570
C 0.737 1.300 -3.766
C -0.179 2.143 -4.379
C -1.402 2.353 -3.747
C -1.688 1.737 -2.547
C -0.782 0.840 -1.917
N -1.028 0.265 -0.716
C -2.308 0.002 -0.281
C -3.333 -0.444 -1.148
C -4.550 -0.881 -0.670
C -4.800 -0.910 0.699
C -3.810 -0.475 1.564
C -2.581 0.006 1.113
P -1.239 0.567 2.234
C -1.403 2.431 2.200
C -0.334 3.001 1.265
C -2.777 2.976 1.821
C -1.853 0.089 3.931
C -0.623 -0.069 4.828
C -2.879 0.983 4.626
H 4.502 -0.261 -4.421
H 2.790 -0.564 -4.727
H 3.770 -1.775 -3.912
H 3.243 1.010 -2.766
H 4.556 -1.429 -1.484
H 4.341 0.158 -0.744
H 5.411 -0.033 -2.143
H 0.300 -2.384 -1.651
H 1.571 -2.364 -4.402
H 0.021 -1.611 -4.017
H 0.243 -3.353 -3.801
H 3.113 -3.161 -2.466
H 1.812 -4.199 -1.867
H 2.542 -3.018 -0.793
H 1.695 1.161 -4.249
H 0.061 2.633 -5.314
H -2.136 3.019 -4.189
H -2.635 1.933 -2.058
H -3.131 -0.471 -2.212
H -5.302 -1.231 -1.369
H -5.740 -1.282 1.085
H -4.003 -0.532 2.625
H -1.162 2.739 3.225
H -0.494 2.641 0.248
H 0.667 2.685 1.565
H -0.370 4.096 1.257
H -3.014 2.712 0.788
H -2.786 4.068 1.902
H -3.575 2.580 2.448
H -2.262 -0.913 3.771
H -0.074 0.874 4.923
H 0.056 -0.818 4.421
H -0.917 -0.384 5.834
H -2.473 1.982 4.807
H -3.142 0.561 5.602
H -3.800 1.103 4.059
N 1.832 -1.703 1.773
C 2.281 -2.942 2.409
C 1.100 -3.697 3.026
C -0.081 -3.582 2.056
O 0.032 -4.160 0.949
O -0.998 -2.781 2.381
H 2.598 -1.153 1.407
H 1.286 -1.114 2.397
H 3.050 -2.780 3.177
H 2.722 -3.564 1.627
H 0.822 -3.260 3.987
H 1.382 -4.741 3.175
Cl 3.244 4.074 -3.045
C 2.333 4.343 -1.543
Cl 0.615 4.193 -1.837
Cl 2.719 5.961 -0.900
C 2.771 3.356 -0.555
N 3.139 2.582 0.207
*
```

---

Entry 2:
This record from the OMol25 dataset describes a 9-piece molecular cluster, C29H42Cl4N6O2 overall. The level of theory is ωB97M-V/def2-TZVPD.

The HOMO energy comes out at -8.04 eV. Its HOMO-LUMO gap is 8.40 eV. As for the SMILES: ClC(Cl)(Cl)Cl.c1cc[nH]c1.c1cc[nH]c1.c1cc[nH]c1.c1cc[nH]c1.c1cc[nH]c1.c1cc[nH]c1.CCO.CCO. The energy above the lowest of the compared OMol25 structures with the same formula, charge and spin comes out at 0.33 kcal/mol.

Geometry as ORCA input:
```
! RIJCOSX wB97M-V def2-TZVPD def2/J DEFGRID3
* xyz 0 1
Cl 2.252 1.981 -2.418
C 1.138 0.816 -1.662
Cl 1.377 0.820 0.083
Cl -0.526 1.262 -2.095
Cl 1.476 -0.804 -2.249
C -3.784 4.708 -1.801
C -3.239 3.847 -2.802
C -1.914 4.159 -2.937
N -1.635 5.157 -2.050
C -2.770 5.502 -1.362
H -4.798 4.707 -1.442
>>>


January 8, 2014; 2:00-4:00 p.m. @ L & I - Rm. S216

Dial in # (360) 407-3780; Pass code 188110 #

Misplaced calculated molecules >
w.
This record from OMol25 describes 10 unconnected molecules or ions with the total composition C41H62NO19. The level of theory is wB97M-V/def2-TZVPD.

Cartesian coordinates (Å):
C  -0.648  -0.800  2.309
C  -0.167  -3.004  -1.609
C  1.816  1.972  0.823
O  -6.923  -0.857  -3.958
C  -5.797  -0.627  -4.316
H  1.273  0.228  2.589
C  1.664  6.626  2.881
H  -5.511  -2.344  1.503
H  2.605  -4.311  -2.016
H  -0.270  5.910  -4.737
C  5.075  -1.537  1.046
O  1.289  4.958  -2.768
H  -2.511  -1.056  -1.783
H  -0.077  4.978  5.465
H  -0.712  6.164  4.386
C  2.838  2.007  -3.984
H  2.357  -0.746  -4.405
H  0.869  6.666  2.133
C  4.771  -0.124  0.843
C  3.331  -5.580  3.193
H  -7.321  -0.894  -6.279
H  0.115  0.640  -0.744
H  2.718  2.436  -4.993
O  0.681  1.441  -2.979
C  -2.836  -0.277  -5.053
H  -5.104  -1.189  -2.386
O  -1.665  -0.172  -5.393
C  0.143  5.629  -2.519
C  -3.948  -0.262  -6.028
C  5.949  -1.545  -1.391
H  -1.305  0.935  0.099
H  5.050  2.231  -1.596
C  1.263  5.607  3.980
H  6.445  -2.207  -2.163
H  5.891  -3.688  0.942
H  0.873  -3.968  2.346
H  -1.975  -3.355  1.771
C  -2.875  -3.699  6.027
O  6.033  0.521  -2.594
C  -0.724  6.155  -3.754
C  0.105  5.863  5.004
H  1.450  -3.898  -3.301
H  -0.335  -2.236  -0.852
C  5.739  -2.306  -0.039
O  -3.069  -1.769  -0.438
C  -2.011  5.774  -1.110
H  -1.035  2.162  2.792
C  -0.603  5.448  -1.248
H  2.490  1.949  1.702
C  -3.915  -4.785  6.454
O  0.029  5.001  -0.248
H  -3.421  -5.538  7.058
H  -3.431  -4.378  1.527
O  6.141  -3.536  0.099
H  4.193  -5.176  3.615
O  -6.430  -0.627  -6.610
O  -3.279  -2.728  5.454
H  3.191  -3.078  -2.820
O  -0.349  -1.792  3.307
H  2.497  6.396  2.227
H  -4.175  6.956  -3.045
O  -2.699  6.797  -4.589
H  -1.404  -0.151  2.677
H  3.681  -6.611  3.085
O  3.099  -5.407  0.807
C  -5.441  -0.447  -5.590
H  2.221  1.412  -0.049
H  2.939  2.861  -3.200
H  -0.762  -3.270  6.306
H  -1.139  -1.233  1.390
H  3.820  1.531  -4.026
H  -5.569  -2.074  -0.303
H  -0.499  2.298  -0.265
H  -1.151  -2.068  3.756
H  1.810  -3.212  0.874
C  -0.243  2.334  2.120
H  -5.516  -3.815  0.092
C  -3.286  -0.626  -3.596
H  0.434  6.568  5.560
H  -3.584  -0.432  -7.021
H  -2.528  5.661  -0.226
C  -5.131  -2.667  0.366
O  1.911  4.559  3.923
H  -4.273  -5.257  5.578
C  -2.718  6.107  -2.367
C  -0.328  1.265  -0.022
C  1.291  -2.659  -1.669
H  1.595  5.189  -3.579
C  -3.519  -2.640  0.233
C  0.717  0.041  1.859
H  -2.238  -4.060  0.053
C  -2.709  -3.823  0.902
O  4.735  1.897  -0.684
C  2.102  -3.479  -2.619
H  4.147  0.314  1.694
C  -1.473  -3.836  6.670
H  1.430  0.033  -5.407
C  -2.084  6.353  -3.632
H  1.628  7.700  3.123
C  -4.796  -0.786  -3.366
H  -1.062  -4.657  6.301
H  -0.720  -2.825  -2.661
H  0.550  2.655  2.750
H  0.654  -0.760  -4.132
H  1.351  -0.640  1.235
C  1.522  -0.215  -4.372
O  1.891  -1.808  -1.003
C  1.795  -3.778  2.002
H  2.746  -5.755  4.120
H  -4.599  -4.346  7.132
N  0.471  1.417  1.166
C  1.653  1.090  -3.740
H  -0.735  3.236  1.695
C  5.661  -0.109  -1.566

Documents Provided:

Invitees: / Julie Alonso
Ryan Betz
Kelli Dixon
Evelyn Hinken
Peggy Miller / Sandy Mitchell
Cindy Murray
Julia Ojard
Staci Phillips
Karen Robbins / Randy Ryan
Cheryl Sattelberg
Pam Scott
Sherry Thomas
Lori Tranmer / Melissa Van Gorkom
Kelly Wilson
Robert Coit
Guest / SOS Staff:
Stephanie Horn
Phillip Kerrigan
Heather Lucas
Dawn Sanquist


Time / Agenda Item / Presenter / Notes/Action Items
2:00 – 2:05 / Announcements / Melissa/Kelly / CFD ended with another successful year like 2012. There was a decrease in giving but still a success.
MLK day should be made a day of caring, remember to donate time and record it.
Introductions of new member Rick Elsea from DSHS/DVR.
2:05 – 2:25 / Charity Speaker – Robert Coit, Director
Thurston County Food Bank / Did not attend
2:25 – 2:55 / Nominations
·  Timeline
·  How is it done / Melissa/Kelly / Is there anyone interested in leading the Charity Fairs and Local Coordinators Training this year?
Training planning starts in April/May, Campaign Leaders training is in May/June, with the Local Coordinators training in July/September. Usually the LC Training is held on 2 separate days, 2 sessions each day. Evelyn and Rick will tag team the training. As far as the charity fairs go, Sandy was nominated to co-lead with Lori T. The last big event was in May last year with the PSRW which we do not know will happen this year.
Timelines: The co-chairs are opening up on meeting a month to have the leads join their meeting with the SOS office. Julie will be joining the meeting as a shadow to the co-chairs for the year. One hour with leads and co-chairs to discuss your needs from 3-4pm, Melissa will send out meeting notices for the next one on January 22nd at 3pm.
2:55 – 3:05 / Solicitation Lead / Melissa/Kelly / Request made.
Cindy will work with Peggy Miller to get some letters out this next month.
3:05 - 3:10 / Break
3:10 – 3:15 / Rock Party
(1)  Jan & (1) Feb / Melissa/Kelly / There will be rock painting parties to get them all decorated. Mellissa will send out information.
3:15 – 3:35 / Recognition Event
·  Food
·  Charity Center pieces
·  Entertainment / Julia / Quorum vote on caterer with majority yes for Marv’s BBQ. Julia will let them know they were selected. Melissa will send Phillip notification as to the selection.
Veggie entree will be Portabella Mushrooms. It was asked to have the invite to require they select a Veggie dinner to get a head count.
Still need to find a way to cover Coffee, Drinks and Dessert.
Cindy M can provide a large coffee pot with coffee. Kelly will submit a letter to Costco to supply desserts and any drinks options as a donation.
Sponsors could have a table at the event.
Last year the TCSC and the SOS supplied the wine and beer. Members stated they were willing to donate to the cause again this year.
We will also need to purchase a liquor permit, ($5) which the SOS may not be able to provide due to more stringent rules around alcohol.
Charity centrepieces, specs will be drawn up to give to the charities that include size. We will have 20 tables. We are planning the event for 200 people. We will need to get a head count the week of for the caterer. A letter will be sent out by Mellissa to all charities to allow them to participate. Julie will do the letter with mock up and set up a sign up genius to allow them to sign up. This should be complete by February 1st.
Entertainment – Sherry has the Olympia Choir coming to preform prior to the event start time or during the first hour. There is not cost for choir.
We will need to look at the laptop for background music through the PA system.
We need to look at old program to build this year’s program and revise times.
Phillip will need to confirm if we have the two other rooms to serve food and drinks in or just the main room.
We will want to invite the major donors to the event from last year. Anyone that donated over $200 should get an invite to attend.
We should have a key note speaker like Secretary of State Kim Wyman or Randy Dorn.
3:35 – 3:50 / Motorcycle Ride Update / Cindy / One appointment with Harley to discuss their involvement this year. Attempts will be made to contact more pit stops and send out donor letter for participation this year. Evelyn will be the pit stop coordinator at Lucky Eagle and will go with Cindy to the meeting with them. Cheryl will be the PC at Harley and will attend that meeting. We will need other pit stop coordinators for CTW and the Capital if we start there this year. COSTCO has also voiced interest in being and pit stop.
3:50 – 4:00 / Roundtable / ALL Members

• The article is interrupted by quantum chemistry results:
# 1
# C34H31AsIMgS3

C34H31AsIMgS3 as an isolated structure at a distorted geometry (ωB97M-V/def2-TZVPD, the OMol25 dataset).

Geometry as XYZ:
```
71
Properties=species:S:1:pos:R:3
Mg -2.6727 0.5485 0.8991
C -2.6180 -0.1728 4.1571
C -1.5806 -0.9690 3.3501
S -0.6172 -0.1117 2.0247
C 0.0778 1.4040 2.8128
C -0.3235 2.6964 2.0944
S -2.0729 2.9832 1.7171
C -2.8054 3.0275 3.3811
C -4.0803 2.1879 3.4385
S -3.9473 0.4236 3.0355
H -2.2418 0.6907 4.6800
H -3.0647 -0.8070 4.9057
H -2.0856 -1.7738 2.7779
H -0.8956 -1.4470 4.0553
H 1.1608 1.3407 2.7402
H -0.1770 1.3865 3.8795
H 0.1460 2.7058 1.1227
H 0.0505 3.5426 2.6292
H -3.0861 4.0607 3.6328
H -2.0782 2.6954 4.1285
H -4.8189 2.5823 2.7609
H -4.5413 2.2434 4.4414
I -4.0979 -2.4561 -0.0304
C -3.6160 -1.7294 -2.0129
C -3.7880 -2.6677 -2.9910
C -3.4875 -2.3505 -4.3068
C -2.9821 -1.1197 -4.5824
C -2.7184 -0.1520 -3.5701
C -2.1596 1.0909 -3.9416
C -1.9278 2.0681 -3.0260
C -2.2226 1.7684 -1.6819
C -2.7872 0.5984 -1.1940
C -3.0517 -0.4390 -2.1860
H -4.3041 -3.6151 -2.8332
H -3.6877 -3.0833 -5.1030
H -2.8892 -0.7341 -5.5855
H -1.9587 1.3218 -4.9996
H -1.6059 3.0607 -3.2889
H -1.9573 2.5569 -0.9685
C 3.8122 1.1465 -4.3843
C 2.4101 1.0679 -4.2431
C 1.9089 0.8738 -2.9702
C 2.7335 0.7140 -1.8569
C 4.1082 0.8184 -2.0114
C 4.6531 1.0277 -3.2932
As 1.7371 0.5461 -0.1286
C 3.0887 0.0315 1.1483
C 3.8689 0.9052 1.9115
C 4.6812 0.3941 2.9299
C 4.7211 -0.9944 3.0979
C 3.9814 -1.8644 2.3258
C 3.1526 -1.3516 1.3445
C 2.2357 -2.0983 0.5068
C 2.0303 -3.4571 0.6278
C 1.0394 -4.0457 -0.2029
C 0.2721 -3.2440 -1.0742
C 0.4678 -1.8994 -1.1295
C 1.4005 -1.3122 -0.2990
H 4.2572 1.2451 -5.3637
H 1.7614 1.1247 -5.0829
H 0.8523 0.8661 -2.8411
H 4.7926 0.7097 -1.1664
H 5.7017 1.1033 -3.4020
H 3.8210 1.9551 1.7235
H 5.4158 0.9900 3.4833
H 5.4454 -1.3476 3.8383
H 4.1270 -2.9347 2.5504
H 2.6996 -4.1191 1.1860
H 0.9239 -5.1395 -0.1432
H -0.4411 -3.7834 -1.6942
H -0.1461 -1.2837 -1.7499
```

- Net charge: +1
- HOMO-LUMO gap: 7.959 eV
- LUMO level: -2.346 eV

=====

# 2
# C34H31Cl2HfN9O3

C34H31Cl2HfN9O3 as an isolated structure (ωB97M-V/def2-TZVPD, the OMol25 dataset).

Geometry as XYZ:
```
80
Properties=species:S:1:pos:R:3
Hf -0.3404 -0.2130 -0.5151
Cl 3.8020 -4.0546 -4.5761
C 2.5560 -3.6077 -3.4752
C 2.1664 -2.2756 -3.4241
C 1.1732 -1.8968 -2.5335
N 0.6753 -0.5686 -2.3581
C 0.7175 0.2974 -3.4155
O 1.1270 0.0854 -4.5341
C 0.1943 1.6635 -3.0694
C 0.1119 2.6172 -4.0654
C -0.3301 3.8871 -3.7404
C -0.6595 4.1505 -2.4194
C -0.5580 3.1384 -1.4873
N -0.1418 1.8937 -1.7868
C 0.5756 -2.8442 -1.7087
C 0.9490 -4.1744 -1.7735
C 1.9468 -4.5544 -2.6599
Cl 2.4073 -6.2112 -2.7208
N -0.3735 -2.3268 -0.7812
C -1.4623 -3.0831 -0.4457
O -1.8617 -4.1006 -0.9619
C -2.1651 -2.5133 0.7604
C -3.1638 -3.2363 1.3827
C -3.7055 -2.7431 2.5577
C -3.2164 -1.5478 3.0646
C -2.2393 -0.8720 2.3602
N -1.7169 -1.3305 1.2124
H 2.6343 -1.5673 -4.0867
H 0.4063 2.3333 -5.0659
H -0.4063 4.6588 -4.4949
H -0.9890 5.1299 -2.1027
H -0.7972 3.3526 -0.4580
H 0.4773 -4.9231 -1.1561

Next Meeting: February 12; 2:00-4:00 p.m. @ L & I - Rm. S216 Second Floor

3 / TCSC – Monthly Meeting Agenda/Minutes